**Given:**
____________
[1]
This record from the Alexandria database describes a relaxed InIr2Cl crystal. The functional is PBE.

```
data_InIr2Cl
_cell_length_a 5.927
_cell_length_b 7.590
_cell_length_c 2.995
_cell_angle_alpha 90.00
_cell_angle_beta 90.00
_cell_angle_gamma 90.00
_symmetry_space_group_name_H-M 'C m m m'
_symmetry_Int_Tables_number 65
_symmetry_space_group_name_Hall '-C 2 2'
loop_
_atom_site_label
_atom_site_fract_x
_atom_site_fract_y
_atom_site_fract_z
In1 0.000 0.000 0.000
Ir1 0.250 0.250 0.500
Cl1 0.000 0.500 0.000
```

Calculated values
The calculation puts the density of states at the Fermi level at 7.42 states/eV per cell.

***

[2]
This record from the Alexandria database describes a relaxed Ac2LaSi crystal. The functional is PBE.

```
data_Ac2LaSi
_cell_length_a 5.0230
_cell_length_b 5.0230
_cell_length_c 19.3090
_cell_angle_alpha 90.00
_cell_angle_beta 90.00
_cell_angle_gamma 120.00
_symmetry_space_group_name_H-M 'R -3 m'
_symmetry_Int_Tables_number 166
_symmetry_space_group_name_Hall '-R 3 2"'
loop_
_atom_site_label
_atom_site_fract_x
_atom_site_fract_y
_atom_site_fract_z
Ac1 0.0000 0.0000 0.2307
La1 0.0000 0.0000 0.0000
Si1 0.0000 0.0000 0.5000
```

Calculated values
The calculation puts the density of states at the Fermi level at 14.15 states/eV per cell.

***

[3]
This record from the Alexandria database describes a relaxed AsIrClO crystal. The functional is PBE.

```
data_AsIrClO
_cell_length_a 3.307
_cell_length_b 4.424
_cell_length_c 6.853
_cell_angle_alpha 104.03
_cell_angle_beta 91.67
_cell_angle_gamma 111.74
_symmetry_space_group_name_H-M 'P 1'
_symmetry_Int_Tables_number 1
loop_
_symmetry_equiv_pos_as_xyz
'x,y,z'
loop_
_atom_site_label
_atom_site_fract_x
_atom_site_fract_y
_atom_site_fract_z
As1 0.000 0.000 0.000
Ir1 0.251 0.513 0.830
Cl1 0.674 0.388 0.581
O1 0.775 0.536 0.030
```

Calculated values
The calculation puts the density of states at the Fermi level at 2.15 states/eV per cell.

***

[4]
This record from the Alexandria database describes a relaxed TiBeAs2Br crystal. The functional is PBE.

```
data_TiBeAs2Br
_cell_length_a 4.927
_cell_length_b 4.927
_cell_length_c 5.049
_cell_angle_alpha 90.00
_cell_angle_beta 90.00
_cell_angle_gamma 90.00
_symmetry_space_group_name_H-M 'P 4/m m m'
_symmetry_Int_Tables_number 123
_symmetry_space_group_name_Hall '-P 4 2'
loop_
_atom_site_label
_atom_site_fract_x
_atom_site_fract_y
_atom_site_fract_z
Ti1 0.000 0.000 0.000
Be1 0.500 0.500 0.500
As1 0.000 0.500 0.000
Br1 0.000 0.000 0.500
```

Calculated values
The calculation puts the density of states at the Fermi level at 5.89 states/eV per cell.

***

Going through the records in order, we get energy relative to the elements, uncorrected values of 0.79; 0.10; -0.15; 0.48 eV/atom.

~~~~~

Compound: Li2Pa2PN6
Source: the Alexandria database
Functional: PBE-GGA
Structure: relaxed

Cell and atoms, written as extended XYZ:
```
11
Lattice="-4.827 -1.060 -3.101 1.373 -2.966 4.833 -2.111 4.001 2.611" Properties=species:S:1:pos:R:3 pbc="T T T"
N -4.276 -0.377 3.251
N -1.140 1.685 3.392
N -4.425 -1.710 0.951
N -3.103 2.289 0.879
N -2.462 -2.314 3.464
N -1.289 0.352 1.092
P -1.055 2.000 1.305
Pa -1.803 -0.314 3.425
Pa -3.762 0.289 0.918
Li 0.613 -2.732 3.861
Li -4.067 -1.293 -2.128
```

Calculated values
Space-group type = C2/m
Raw formation energy = -602 meV/atom
M_tot = 0.000 μB per formula unit

=====

Compound: SrFeBTe2
Source: the Alexandria database
Functional: PBE-GGA
Structure: relaxed

Cell and atoms, written as extended XYZ:
```
5
Lattice="-3.375 -4.051 1.421 2.929 -1.733 2.015 -1.441 2.772 4.479" Properties=species:S:1:pos:R:3 pbc="T T T"
Sr -0.944 -1.506 3.957
B 1.464 -0.867 1.008
Fe 0.000 0.000 0.000
Te -0.721 1.386 2.239
Te -1.688 -2.025 0.710
```

Calculated values
Space-group type = P4/mmm
Raw formation energy = -104 meV/atom
M_tot = 2.080 μB per formula unit

=====

Compound: CsScCrI6
Source: the Alexandria database
Functional: PBE-GGA
Structure: relaxed

Cell and atoms, written as extended XYZ:
```
9
____________

**Request:**
Your job: restate the lines further up up to the one that holds "4.479", that line included.

**Worked solution:**
[1]
This record from the Alexandria database describes a relaxed InIr2Cl crystal. The functional is PBE.

```
data_InIr2Cl
_cell_length_a 5.927
_cell_length_b 7.590
_cell_length_c 2.995
_cell_angle_alpha 90.00
_cell_angle_beta 90.00
_cell_angle_gamma 90.00
_symmetry_space_group_name_H-M 'C m m m'
_symmetry_Int_Tables_number 65
_symmetry_space_group_name_Hall '-C 2 2'
loop_
_atom_site_label
_atom_site_fract_x
_atom_site_fract_y
_atom_site_fract_z
In1 0.000 0.000 0.000
Ir1 0.250 0.250 0.500
Cl1 0.000 0.500 0.000
```

Calculated values
The calculation puts the density of states at the Fermi level at 7.42 states/eV per cell.

***

[2]
This record from the Alexandria database describes a relaxed Ac2LaSi crystal. The functional is PBE.

```
data_Ac2LaSi
_cell_length_a 5.0230
_cell_length_b 5.0230
_cell_length_c 19.3090
_cell_angle_alpha 90.00
_cell_angle_beta 90.00
_cell_angle_gamma 120.00
_symmetry_space_group_name_H-M 'R -3 m'
_symmetry_Int_Tables_number 166
_symmetry_space_group_name_Hall '-R 3 2"'
loop_
_atom_site_label
_atom_site_fract_x
_atom_site_fract_y
_atom_site_fract_z
Ac1 0.0000 0.0000 0.2307
La1 0.0000 0.0000 0.0000
Si1 0.0000 0.0000 0.5000
```

Calculated values
The calculation puts the density of states at the Fermi level at 14.15 states/eV per cell.

***

[3]
This record from the Alexandria database describes a relaxed AsIrClO crystal. The functional is PBE.

```
data_AsIrClO
_cell_length_a 3.307
_cell_length_b 4.424
_cell_length_c 6.853
_cell_angle_alpha 104.03
_cell_angle_beta 91.67
_cell_angle_gamma 111.74
_symmetry_space_group_name_H-M 'P 1'
_symmetry_Int_Tables_number 1
loop_
_symmetry_equiv_pos_as_xyz
'x,y,z'
loop_
_atom_site_label
_atom_site_fract_x
_atom_site_fract_y
_atom_site_fract_z
As1 0.000 0.000 0.000
Ir1 0.251 0.513 0.830
Cl1 0.674 0.388 0.581
O1 0.775 0.536 0.030
```

Calculated values
The calculation puts the density of states at the Fermi level at 2.15 states/eV per cell.

***

[4]
This record from the Alexandria database describes a relaxed TiBeAs2Br crystal. The functional is PBE.

```
data_TiBeAs2Br
_cell_length_a 4.927
_cell_length_b 4.927
_cell_length_c 5.049
_cell_angle_alpha 90.00
_cell_angle_beta 90.00
_cell_angle_gamma 90.00
_symmetry_space_group_name_H-M 'P 4/m m m'
_symmetry_Int_Tables_number 123
_symmetry_space_group_name_Hall '-P 4 2'
loop_
_atom_site_label
_atom_site_fract_x
_atom_site_fract_y
_atom_site_fract_z
Ti1 0.000 0.000 0.000
Be1 0.500 0.500 0.500
As1 0.000 0.500 0.000
Br1 0.000 0.000 0.500
```

Calculated values
The calculation puts the density of states at the Fermi level at 5.89 states/eV per cell.

***

Going through the records in order, we get energy relative to the elements, uncorrected values of 0.79; 0.10; -0.15; 0.48 eV/atom.

~~~~~

Compound: Li2Pa2PN6
Source: the Alexandria database
Functional: PBE-GGA
Structure: relaxed

Cell and atoms, written as extended XYZ:
```
11
Lattice="-4.827 -1.060 -3.101 1.373 -2.966 4.833 -2.111 4.001 2.611" Properties=species:S:1:pos:R:3 pbc="T T T"
N -4.276 -0.377 3.251
N -1.140 1.685 3.392
N -4.425 -1.710 0.951
N -3.103 2.289 0.879
N -2.462 -2.314 3.464
N -1.289 0.352 1.092
P -1.055 2.000 1.305
Pa -1.803 -0.314 3.425
Pa -3.762 0.289 0.918
Li 0.613 -2.732 3.861
Li -4.067 -1.293 -2.128
```

Calculated values
Space-group type = C2/m
Raw formation energy = -602 meV/atom
M_tot = 0.000 μB per formula unit

=====

Compound: SrFeBTe2
Source: the Alexandria database
Functional: PBE-GGA
Structure: relaxed

Cell and atoms, written as extended XYZ:
```
5
Lattice="-3.375 -4.051 1.421 2.929 -1.733 2.015 -1.441 2.772 4.479" Properties=species:S:1:pos:R:3 pbc="T T T"